EMV and PCI DSS – Complementing or competing standards?

There has been an increased confusion among the clients/ merchants about the compliance related activities related to Payment Card Industry Data Security Standards (PCI DSS) and EMVCo LLC (Europay, MasterCard, and Visa) (EMV) specifications.
There is not enough clarity on what to follow regarding the adoption of either standard. While many merchants (esp. the retail ones) are advocating the necessity to move towards EMV to reduce card fraud to a great extent, the others are still wondering if this move is justified as they are already struggling to keep up with PCI DSS.
Recently, the counterfeit card liability shift plans announced by many payment brands as per their individual milestones have once again raised the heated debate regarding the widespread adoption of these two popular standards. Let’s take a closer look at them to understand clearly what does it takes to truly secure your client’s valuable cardholder data from attackers.
EMV and PCI DSS – Same or different?
Both the standards advocate the protection of cardholder data (CHD) to minimize the rampant card fraud and consumer cardholder data breaches. But it is here that the standards take a different approach by focusing on various elements of CHD transactions.
Broadly speaking, PCI DSS tries to address the larger picture by ensuring the card data is not stolen and is reasonably secure whenever it is stored, transmitted or processed. On the other hand, EMV’s objective is typically to render the data of chip-based payment cards useless, if somehow the attackers manage to get hold of it. Thus, EMV acts as more of an anti-fraud mechanism which makes the card skimming and card duplication fraud practices quite difficult, since the chip present in the card produces a unique encrypted output every single time when it is used.
PCI DSS has specific dedicated standards such as PA-DSS and PTS standards that are useful to form important security layers to reduce overall card fraud and risks. The risks arising from malicious payment applications, compromised POS terminals, technical fallback process, card skimming, etc. are covered quite effectively through the use of Payment Application Data Security Standard (PA DSS) approved applications and PTS compliant devices.
Hence, we see that though EMV and PCI DSS specifications are different, they complement each other very well to protect the cardholder data and prevent its exposure to effectively control fraudulent usage by criminals.
Source: http://ewingoil.com/news/what-difference-between-emv-and-pci-compliance
What should I go for – PCI DSS or EMV?
Since there is no “static” payment data present in magnetic stripe transaction when EMV is used, the card transaction details are effectively useless for an attacker; since in EMV, the data is “dynamic” due to unique encrypted output produced every single time for each card transaction.
A replay attack by the attacker is quite easily rendered ineffective in these cases.
This feature makes adopting EMV an attractive option for merchants (esp. in the retail sector) and not to go for PCI DSS. However, due to exponential growth witnessed in online shopping and e-commerce, customers are frequently opting for card-not-present transactions.
Hence, the card details acquired by an attacker on EMV card can be used to make card-not-present transactions. However, strong authentication measures such as one-time password (OTP) other measures deployed by payment brands such as “3D Secure Code” of MasterCard and “Verified by Visa” of Visa can mitigate this to a great extent.
Other threats such as technical fallback, PAN key entry fallback, Lack of maintaining unique chip CVV/CVC by EMV, Deep dip reading, clear exposure of PAN and expiry date still lurk in the dark that may bypass EMV anti-fraud protections.
However, it is important to note that certain card holder details such as PAN, expiry date need to be transmitted in clear for EMV environment to complete a transaction. Current processing environment typically processes both EMV and non-EMV transactions. Hence, security-wise there exists a threat that these non-EMV transactions such as magnetic stripe data, PAN key entry do not carry the same anti-fraud capabilities of EMV environment hence would require additional protection. This is why EMV environment must be complemented by PCI DSS so that the entire cycle of card payment is covered to guarantee the best security protection for card payments.
Thus, PCI DSS requirements are still important for card security as they address not only the technological aspects of security but also the processes and people part of it. It tries to prevent the theft of card data in the first place.
Further, a large part of the market is still yet to fully adopt EMV migration and right now only a few countries have fully adopted it. It will take some time to reach larger market such as US and Asia. However, EMV and PCI DSS complement each other very well as regards to card security and are helpful to maximize the security assurance value to the customer.
I’m concerned about the counterfeit card liability shift plans by my payment brand – What to do?
Payment brands such as Visa have rolled out October 1, 2015, as the milestone date for the financial liability shift for all the parties that may / may not have invested in EMV compliant POS terminals; barring those used in automated fuel dispensers.
This implies that post this date, for all the frauds reported in cases of POS related card-present transactions, the party (issuer bank / merchant / payment processor) which is least prepared for accepting EMV enabled cards, has to reimburse the victim (customer) for damages occurred.
Technically, this means that no fines / penalties will be levied for not implementing EMV enabled cards since EMV is not government mandated or regulated such as PCI SSC. It is your business decision to implement EMV or not.
If I upgrade to EMV enabled payment devices, can I still use non-EMV cards?
Yes, the “complete” phasing out of non-EMV cards which rely on the magnetic stripe, will still take a long time. To help in this regard, newer cards issued carry EMV chip as well as magnetic stripe for broader application across non-EMV POS terminals. This means, post the milestone date of October 1, 2015, businesses can still accept magnetic stripe cards.
Okay, so if I have adopted EMV, can I skip PCI DSS implementation?
Implementing EMV environment cannot fulfill PCI DSS requirements. It does not protect the confidentiality of cardholder and sensitive authentication data. Further, as of today, merchants can still process both EMV and non-EMV transactions, which means that it is essential to carefully handle the threat vectors aimed at compromising the CHD and SAD(sensitive authentication data) of Card data.
There are many other things to look out as well. We cannot leave the security of our business environments such as people, process, network security, application security and infrastructure security go unnoticed. They need to be secured as well. It is quite possible for an attacker to compromise these areas first, and then gain access to the Cardholder data; a fact that is time and again witnessed in numerous data breaches.
Source: https://www.pcisecuritystandards.org/documents/pci_dss_emv.pdf
Protection provided by PCI DSS is two-fold
Integrity protection of system components against physical and logical attacks wherever they come in contact with the cardholder and sensitive authentication data (SAD).
Molecular data from another source follow:
Density functional theory data (ωB97M-V with the def2-TZVPD basis set) for a cluster of 9 separate species, C4H30N2O8 in total in a non-equilibrium geometry.

The geometry in XYZ format:
```
44
Properties=species:S:1:pos:R:3:forces:R:3:mulliken_charge:R:1
C 0.508 2.778 -1.153 -0.223 -1.110 -0.820 -1.303
C -0.001 1.868 -0.029 0.216 0.246 1.445 -0.109
C 0.882 0.620 0.158 -0.665 -0.944 1.887 -0.808
C 1.859 0.466 1.317 -0.491 -0.567 1.638 -1.246
N 1.253 -0.073 2.651 -0.770 -0.879 -2.492 -0.023
N -1.372 1.263 -0.115 -1.023 0.862 -0.922 -0.420
H 1.578 2.822 -1.012 0.367 0.599 0.513 0.333
H 0.519 2.247 -2.133 -0.700 0.459 0.475 0.232
H 0.052 3.781 -1.218 0.150 -0.586 0.058 0.494
H -0.083 2.489 0.916 0.376 -0.718 -0.878 0.216
H 1.417 0.434 -0.693 2.000 0.509 -2.039 0.769
H 0.322 -0.323 0.008 -0.320 0.592 1.033 0.096
H 2.584 -0.377 1.122 -0.202 1.596 -0.172 0.483
H 2.191 1.417 1.756 0.982 -0.178 -1.197 0.271
H 1.971 -0.248 3.309 0.951 -0.096 0.992 0.504
H 0.571 0.559 3.002 -1.100 1.116 0.776 0.234
H 0.747 -0.950 2.439 -0.196 -0.221 0.106 0.264
H -2.099 1.971 -0.455 0.930 -1.070 0.948 0.542
H -1.596 0.964 0.928 -0.264 0.107 -1.916 0.351
H -1.392 0.472 -0.825 -0.037 0.499 1.274 0.268
H 4.397 0.686 -0.514 -1.203 0.467 -0.488 0.276
H 4.243 1.748 -1.487 1.702 2.333 -2.107 0.267
O 3.701 1.202 -1.002 -0.355 -2.753 2.556 -0.517
H -0.516 -2.528 0.941 -0.055 1.565 1.344 0.313
H -0.588 -2.954 2.350 -0.141 -0.591 1.189 0.297
O -0.444 -2.142 1.880 0.195 -0.901 -2.301 -0.820
H -0.800 -3.694 -3.099 0.311 -0.260 -0.128 0.357
H -2.134 -2.904 -3.351 -0.370 0.060 -0.496 0.298
O -1.474 -3.130 -2.706 -0.006 0.089 0.314 -0.612
H -3.635 2.834 1.397 -0.601 2.227 0.021 0.265
H -4.124 1.545 2.151 1.509 0.924 -1.697 0.280
O -3.463 1.922 1.453 -1.156 -3.029 1.836 -0.587
H 0.874 -4.989 -2.188 -0.175 -1.396 2.025 0.308
H 1.302 -4.787 -3.534 1.395 -1.013 -2.406 0.295
O 0.864 -4.350 -2.857 -1.014 2.265 0.296 -0.653
H -2.540 -1.950 -0.423 0.321 0.424 0.342 0.208
H -1.403 -2.205 -1.373 -0.208 0.895 0.699 0.324
O -1.641 -1.612 -0.592 -0.287 -1.162 -0.843 -0.395
H 0.665 -0.093 -3.075 1.110 1.908 -2.974 0.250
H 0.383 -1.406 -2.547 -0.296 1.773 1.044 0.189
O 0.384 -0.424 -2.277 -0.985 -3.878 1.192 -0.460
H -1.939 2.075 3.318 -1.431 -0.720 -0.801 0.188
H -1.019 2.837 4.109 0.656 0.613 0.645 0.312
O -1.006 2.139 3.456 1.103 -0.056 0.028 -0.530
```
Positions in Å, forces in eV/Å.

The calculation puts the strongest force on any atom at 4.2 eV Å⁻¹. The calculation puts the energy relative to the best compared isomer or geometry (same formula, charge and spin) at 0.000 eV. Its spin multiplicity is 2. For the LUMO energy (alpha / beta), the calculation gives -2.3283 / -2.4631 eV. The calculation puts the HOMO-LUMO gap (alpha / beta) at 2.69 / 11.41 eV. Its expectation value of S² is 0.75. Its charge is +1. Its total energy is -881.4540 a.u.
Confidentiality protection of CHD when it is stored / processed in given environment or gets transmitted over the open public network.
Hence, PCI DSS protection over CHD and SAD covers their presence within the payment eco-system itself, thus effectively making their availability quite difficult for an attacker to obtain them for fraud purposes. This is the very factor that is instrumental in protecting your business against breaches, fines, brand reputation damage, etc. since it advocates in covering the payment system in its entirety.
Dedicated separate standards such as PA DSS and PTS are available from PCI which effectively addresses the risks. Controls available via these standards plug many of the risks present in EMV transactions too.
Source: https://www.pcicomplianceguide.org/will-emv-make-you-pci-compliant/
While the adoption of EMV definitely brings good news to card security with regards to fighting the notorious card-present frauds happening throughout the globe, it would be naive not to comply with PCI DSS standard since it covers the entire cycle of cardholder data which is stored, transmitted or processed in your business environment. Adopting both EMV and PCI DSS will go a long way to provide peace of mind to your customers and deliver maximum security value to them.
“The above Article has been published in Infocity Auditor (News Letter) December – 2015 Issue of ISACA Bangalore Chapter.”
The views presented here by the author are personal.